If I understand this excerpt from your thesis correctly, you are indicating that this entire concept is the anthropomorphic interpretation from a subjective human psychological perspective.
### Unrelated to this text: materials data
DFT (PBE) results for crystalline Zn2TcO4 at its relaxed geometry.

Geometry as CIF:
```
data_Zn2TcO4
_cell_length_a 4.735
_cell_length_b 4.735
_cell_length_c 9.335
_cell_angle_alpha 90.00
_cell_angle_beta 90.00
_cell_angle_gamma 90.00
_symmetry_space_group_name_H-M 'I -4 2 m'
_symmetry_Int_Tables_number 121
_symmetry_space_group_name_Hall 'I -4 2'
loop_
_atom_site_label
_atom_site_fract_x
_atom_site_fract_y
_atom_site_fract_z
_atom_site_occupancy
Zn1 0.000 0.500 0.250 1
Tc1 0.000 0.000 0.000 1
O1 0.213 0.213 0.135 1
```

Fermi-level density of states = 2.10 states/eV/f.u.
E = -40.39 eV per formula unit
E_form (uncorrected) = -1.092 eV/atom

=====

DFT (PBE) results for crystalline Zn3TcO6 at its relaxed geometry.

Geometry as CIF:
```
data_Zn3TcO6
_cell_length_a 8.6728
_cell_length_b 8.6728
_cell_length_c 10.5550
_cell_angle_alpha 90.00
_cell_angle_beta 90.00
_cell_angle_gamma 120.00
_symmetry_space_group_name_H-M 'R -3'
_symmetry_Int_Tables_number 148
_symmetry_space_group_name_Hall '-R 3'
loop_
_atom_site_label
_atom_site_fract_x
_atom_site_fract_y
_atom_site_fract_z
_atom_site_occupancy
Zn1 0.0346 0.2606 0.2153 1
Tc1 0.0000 0.0000 0.0000 1
Tc2 0.0000 0.0000 0.5000 1
O1 0.0059 0.1822 0.8841 1
O2 0.0289 0.1946 0.3983 1
```

Fermi-level density of states = 3.79 states/eV/f.u.
E = -56.41 eV per formula unit
E_form (uncorrected) = -1.247 eV/atom

=====

DFT (PBE) results for crystalline Zn6TcO6 at its relaxed geometry.

Geometry as CIF:
```
data_Zn6TcO6
_cell_length_a 5.730
_cell_length_b 5.730
_cell_length_c 5.730
_cell_angle_alpha 90.00
_cell_angle_beta 90.00
_cell_angle_gamma 90.00
_symmetry_space_group_name_H-M 'P m -3'
_symmetry_Int_Tables_number 200
_symmetry_space_group_name_Hall '-P 2 2 3'
loop_
_atom_site_label
_atom_site_fract_x
_atom_site_fract_y
_atom_site_fract_z
_atom_site_occupancy
Zn1 0.000 0.250 0.500 1
Tc1 0.000 0.000 0.000 1
O1 0.000 0.500 0.251 1
```

Fermi-level density of states = 5.84 states/eV/f.u.
E = -58.33 eV per formula unit
E_form (uncorrected) = -0.813 eV/atom

=====

DFT (PBE) results for crystalline ZnTc3O12 at its relaxed geometry.

Geometry as CIF:
```
data_ZnTc3O12
_cell_length_a 9.9927
_cell_length_b 9.9927
_cell_length_c 22.7061
_cell_angle_alpha 90.00
_cell_angle_beta 90.00
_cell_angle_gamma 120.00
_symmetry_space_group_name_H-M 'R 3 c'
_symmetry_Int_Tables_number 161
_symmetry_space_group_name_Hall 'R 3 -2"c'
loop_
_atom_site_label
_atom_site_fract_x
_atom_site_fract_y
_atom_site_fract_z
_atom_site_occupancy
Zn1 0.0000 0.0000 0.0000 1
Tc1 0.1111 0.3866 0.0448 1
O1 0.0365 0.1860 0.0518 1
O2 0.1218 0.3666 0.3560 1
O3 0.1875 0.0455 0.4457 1
O4 0.2046 0.4583 0.4917 1
```

Fermi-level density of states = 16.84 states/eV/f.u.
E = -111.02 eV per formula unit
E_form (uncorrected) = -1.197 eV/atom

=====

DFT (PBE) results for crystalline ZrTcO3 at its relaxed geometry.

Geometry as CIF:
```
data_ZrTcO3
_cell_length_a 4.122
_cell_length_b 4.122
_cell_length_c 4.122
_cell_angle_alpha 90.00
_cell_angle_beta 90.00
IOW, God is an invention of the human mind.
I can agree with that 100%. But it does not objectively prove the actual existence of a God as independent from human thought, no?
[GE Hammond MS physics]
NO, you are incorrect that:
_____"IOW, God is an invention of the human mind."
... The reason you are incorrect is because God is a "physical fact" of the human brain, and NOT an "invention" of the human mind.
... Look, the universe (Nature) has long been proven to be "
scientifically logical" and because mathematics is simply "
symbolic logic" therefore the universe (Nature) can be as you propose, "be entirely described by mathematics".
No problem!
... The thing that is missing in your theory is the (newly discovered scientific fact by Hammond), that there is a
real God and that it can be concisely described by mathematics as an "
Einsteinian curvature of subjective reality". So your mathematical description of the universe is
incomplete without the incorporation of the fact that there actually is a "
real God".
... Now avoiding "
Philawsephy" discussion completely, let me mention the every day practical scientific (indeed
mathematical) facts about this so-called "
real God".
As you know a half grown person (a 9-year-old child) has half the size, and half the mental speed (perceptual speed) as an 18-year-old fully grown adult. There is no arguing that that fact has been measured by thousands of researchers for hundreds of years. Okay, and the 2nd fact is that no one on earth ever reaches "
full growth" in fact the world population average is about 85% of full growth. This means that the size and speed of the world as the average human being
sees it appears to be
15% larger and 15% faster than it really is. And by the way if the world average is 15%, there are plenty of people who are
20 or 30% growth stunted!
... This makes the world look and feel far more
terrifying and frightening than a really actually is, and the world population is affected by this. And finally, this phenomenon is historically and universally known as the phenomenon of "
... So in
practical daily scientific terms, this phenomenon is of
overwhelming scientific and practical significance! And as I have pointed out, there is now a complete scientific explanation (
indeed proof) that this is all true, and that there actually is a real God.
... So I simply suggest that your "
mathematical universe" is
missing a major scientific and indeed mathematical phenomenon: namely God !